This data is entered into the Daily Weigh-In Form, which I introduced last posting. Here's the form again:Let's focus on the concept of necessity.In the fourth column, you assign each purchase a Necessity Score: 0 if the purchase is totally unnecessary, 1/3 if it's not very necessary, 2/3 if it's pretty necessary
replica Versace sunglasses, and 1 if it's entirely necessary.There is, of course, a certain subjectivity to assigning necessity scores; the decision will depend to some extent on your psychological awareness, even on your existing debt level and your present and future expenses. But here's a rough guide. If you fell and broke your leg during the week, the check to the orthopedist would be entirely necessary; you'd give that a Necessity Score of 1.
And then she waited again.
We may think our wants equal our needs. In other words, that we just have to have a certain pair of shoes or gadget to be happy, successful, etc. While this can seem simple when we're talking about basic needs like shelter and food, it can get murky when we're looking at other items. Here's an easy way to really get conscious about determining the difference between a need and want.Weighing In is a technique for cutting through the financial fog that envelops so many overshoppers. Weighing In involves the disciplined recording of purchases-and something more. You also categorize each purchase, choosing from a master list that groups expenses into logical bins: Home, Food, Clothing, Entertainment, Education, and so on. And you assign each purchase a Necessity Score
Oakley Sunglasses Clearance, based on your dispassionate evaluation of how much you need it. (Need
new era hats on sale, not want.)
The next night Mark gave Jen a call. Jen did not break down and cry or make a big emotional scene. She kept things fun. They made small talk. Mark then asked her to have lunch with him the next day.
Yep. It was a bad scene all the way around. Since you are in Jen's situation, you probably figure there's no way to win your love back. How can you repair the relationship? But Jen and Mark did get back together. Let me tell you how that happened.
**Calculated molecules, as found in the file**
ORCA calculation (the ωB97M-V functional and the def2-TZVPD basis) on a cluster of 9 separate species, C4H27NO9S in total.

**Relative energy (zero: lowest compared OMol25 entry of this formula, charge and spin)**: 45.7 kcal per mole
**HOMO energy**: -0.335 Ha
**Electronic energy**: -1298.6117 hartree
**Largest force on an atom**: 3.78 eV/A
**SMILES**: OCNCCCS.O.O.O.O.O.O.O.O
**LUMO**: 0.10 eV
**HOMO-LUMO gap**: 9.22 eV
**Charge**: 0

CARTESIAN COORDINATES (ANGSTROEM)
O -1.23810 2.26285 -1.22564
C -0.29770 2.43850 -0.18805
N 0.44703 1.23990 0.11155
C 0.64436 0.51508 1.37598
C -0.64076 0.22463 2.24755
C -0.66065 -1.29247 2.57397
S -1.42019 -2.12363 1.22465
H -1.03014 1.44926 -1.72475
H -0.76964 2.99051 0.65360
H 0.50267 3.28984 -0.60254
H 0.13222 0.43263 -0.47151
H 1.48639 0.96057 1.89904
H 1.21018 -0.41627 1.07308
H -0.61423 0.89904 3.13179
H -1.48325 0.55446 1.65995
H 0.35846 -1.71560 2.79847
H -1.20496 -1.28689 3.57186
H -1.49073 -3.17287 2.06557
O -1.70026 -0.09076 -2.35971
H -0.89930 -0.64046 -2.16541
H -2.12306 -0.71708 -2.96117
O -3.86858 0.08840 -0.81289
H -4.12191 0.75886 -1.45781
H -2.97292 -0.02843 -1.26962
O 1.29513 -3.25015 -1.17139
H 0.87140 -3.20627 -0.30402
H 1.72046 -2.36779 -1.18503
O -3.33186 2.02618 1.32332
H -3.87925 1.32351 0.95398
H -2.70593 2.12880 0.60062
O 2.44114 1.14459 -2.54892
H 1.99311 1.81577 -3.10514
H 1.86856 0.97244 -1.80152
O 2.70535 -2.39713 1.36609
H 2.33477 -2.00627 2.16280
H 3.62799 -2.14147 1.32359
O 0.32858 -1.53210 -2.66896
H 0.17733 -2.49663 -2.69044
H 1.07097 -1.47127 -3.28067
O 4.00000 1.41557 0.49691
H 3.93788 1.63793 1.42219
H 3.29941 1.78421 -0.04135

=====

ORCA calculation (the ωB97M-V functional and the def2-TZVPD basis) on an isolated molecule of C6H6O2.

**Relative energy (zero: lowest compared OMol25 entry of this formula, charge and spin)**: 171.1 kcal per mole
**HOMO energy**: -0.329 Ha
**Electronic energy**: -382.4131 hartree
**Largest force on an atom**: 7.72 eV/A
**SMILES**: C#C/C(C=O)=C/CO
**LUMO**: -0.87 eV
**HOMO-LUMO gap**: 8.09 eV
**Charge**: 0

CARTESIAN COORDINATES (ANGSTROEM)
C -2.47052 -1.60476 0.17009
C -1.50306 -0.86761 0.12456
C -0.35102 -0.19018 0.21955
C -0.46240 1.39019 -0.00193
O -1.53194 2.10487 -0.29264
C 0.73137 -0.94042 -0.36762
C 2.20531 -0.72292 -0.27849
O 2.22908 0.57107 0.36988
H -3.70445 -1.77576 0.31125
H 0.57307 1.73328 0.09706
H 0.56986 -2.08165 -1.01172
H 2.78422 -1.50501 0.56493
H 3.13566 -0.71175 -1.20280
H 2.16648 0.54757 1.42629

=====

ORCA calculation (the ωB97M-V functional and the def2-TZVPD basis) on an isolated molecule of C6H12O.

**Relative energy (zero: lowest compared OMol25 entry of this formula, charge and spin)**: 14.8 kcal per mole
**HOMO energy**: -0.359 Ha
**Electronic energy**: -311.0358 hartree
**Largest force on an atom**: 0.78 eV/A
**SMILES**: C[C@@H]1OCC[C@@H]1C
**LUMO**: 1.16 eV
**HOMO-LUMO gap**: 10.93 eV
**Charge**: 0

CARTESIAN COORDINATES (ANGSTROEM)
C -1.40387 0.36010 -1.55924
C -0.88251 0.04656 -0.17933
Jen was in your shoes -- but she realizes now she caused her own pain by acting irrationally. Mark was talking to Jen's good friend, and when Jen saw it she mistakenly assumed he was flirting with her. Jen got so upset about it she broke up with Mark.
Jen then put forth a great amount of effort to talk about upbeat things. They talked about memories they had already made together. They talked about family, which reinforced their history together. This was a necessary step for Jen to take in order to repair the relationship.
Mark told Jen he never had wanted things to end, but he didn't want to ever have to go through another similar scene or dramatic situation again. He wanted Jen to know that he would talk to other women and that she shouldn't see that as a red flag.
Let's just leave the story there. Mark and Jen agreed to take their relationship to the next level. They decided to start "dating" again -- that they would never take each other for granted.
Jen was wrong. Mark was actually consulting Jen's friend to help her organize a surprise party for Jen. The fact that Jen didn't trust him really hurt Mark. He felt she must be untrusting by nature and that they really had no future together.
After 7 days she sent him a short email note that said "I'm thinking of you." Very simple.
When they met for lunch, Jen looked great! She wore the sweater Mark had given her, and she also wore her hair the way he always said he liked it best.
~~~
Formula: C37H56AsN5O5SSi3Sn
Source: the Open Molecules 2025 dataset
Level of theory: the ωB97M-V functional and the def2-TZVPD basis

orbital gap = 7.30 eV
total charge = +2
HOMO energy = -12.78 eV
calculated total energy = -158094.8062 eV
M = 960.84 g/mol

Last column: Löwdin charge in e.
Atoms and positions in Å:
Sn (1.09338, -0.47679, 0.71324)  0.945
C (-5.39030, 2.18955, -1.15723)  -0.065
O (-4.03454, 2.46849, -0.85142)  -0.094
C (-3.82093, 3.50434, 0.00844)  -0.228
C (-4.78694, 4.42947, 0.36455)  -0.005
C (-4.41013, 5.45050, 1.22716)  -0.037
C (-3.05274, 5.71327, 1.58979)  -0.053
C (-2.10976, 4.80373, 1.18549)  -0.031
C (-2.54325, 3.69429, 0.47628)  -0.165
N (-1.52978, 2.87017, -0.16795)  0.184
C (-0.75173, 1.94305, 0.45236)  -0.330
N (-0.85206, 1.85987, 1.77378)  0.174
C (-0.30336, 1.13592, 2.80259)  -0.228
C (0.68332, 0.21343, 2.66565)  -0.291
C (1.24837, -0.46928, 3.76507)  -0.132
C (0.79231, 0.01423, 5.00839)  -0.063
C (-0.12837, 1.03818, 5.18776)  -0.004
C (-0.70044, 1.58658, 4.07067)  -0.214
O (-1.61605, 2.60380, 4.08596)  -0.097
C (-1.81714, 3.31865, 5.31957)  -0.004
N (0.05376, 1.12224, -0.22298)  -0.006
C (0.21806, 1.39015, -1.62990)  -0.247
C (1.26335, 2.22305, -2.00016)  -0.010
C (1.42299, 2.52905, -3.35712)  -0.073
C (0.47583, 2.13046, -4.26388)  -0.078
C (-0.66742, 1.40287, -3.87165)  0.029
C (-0.74981, 0.96388, -2.52527)  -0.247
O (-1.77058, 0.23292, -2.03547)  -0.107
C (-2.69550, -0.41729, -2.92287)  -0.024
H (-5.43864, 1.22654, -1.70823)  0.091
H (-5.81970, 2.94405, -1.86568)  0.112
H (-5.98845, 2.20868, -0.18589)  0.122
H (-5.80425, 4.40294, 0.08591)  0.104
H (-5.23256, 6.10221, 1.53202)  0.118
H (-2.77426, 6.58413, 2.20335)  0.118
H (-1.06765, 4.83800, 1.42542)  0.118
H (-1.72343, 2.71061, -1.15570)  0.151
H (-1.49491, 2.50501, 2.20661)  0.124
H (2.00648, -1.23319, 3.70415)  0.053
H (1.14198, -0.51921, 5.92814)  0.128
H (-0.39449, 1.35573, 6.17379)  0.114
H (-2.41970, 4.11789, 5.05082)  0.076
H (-0.84628, 3.66648, 5.60740)  0.097
H (-2.25523, 2.62712, 6.05990)  0.115
H (2.05778, 2.42767, -1.28504)  0.111
H (2.26153, 3.13410, -3.68246)  0.113
H (0.63698, 2.41398, -5.28670)  0.110
H (-1.41485, 1.15743, -4.57231)  0.098
H (-2.94932, -1.33864, -2.39744)  0.087
H (-2.29089, -0.64601, -3.90882)  0.085
H (-3.59388, 0.16928, -2.99057)  0.084
C (4.31680, -0.96570, -2.49265)  0.050
C (2.84416, -0.86241, -2.10069)  -0.546
O (1.95655, -1.30512, -2.94623)  -0.065
O (2.55117, -0.38892, -1.01657)  -0.143
H (4.96941, -0.31821, -1.93822)  0.091
H (4.41195, -0.77283, -3.56013)  0.069
H (4.58127, -2.04692, -2.45065)  0.107
S (3.62822, -0.86874, 1.66228)  0.772
C (3.82035, 0.78049, 2.01656)  -0.740
N (4.71845, 1.06597, 2.97580)  0.093
C (4.97528, 2.33762, 3.41205)  0.009
C (4.28918, 3.34950, 2.85234)  -0.012
C (3.46109, 3.02150, 1.81170)  -0.091
N (3.23938, 1.81641, 1.37823)  0.095
H (5.16941, 0.25853, 3.37144)  0.146
H (5.78482, 2.34605, 4.11060)  0.146
H (4.48262, 4.36965, 3.18894)  0.137
H (3.00936, 3.72710, 1.10648)  0.139
~~~
Back to the page:
Jen sent the letter. And then she waited. She didn't call him. She didn't text him. She didn't email him or leave a message on his Facebook page. She just simply gave him some time.
I know after a break up it seems like you will never have love in your life again. I know; I've been there. But you will have love in your life again -- you may even win your love back. Listen to what happened to Jen and Mark.
Since Mark wasn't talking to her, Jen decided to write him a letter. She sat down and wrote him a sincere apology and admitted that she had shown a lack of trust.
**Unrelated to this piece: molecular data:**
-- begin --
A structure of composition C37H42BiCl3N5O3SSi, computed with ωB97M-V/def2-TZVPD.

* E_tot: -114760.520 eV
* Kohn-Sham gap: 8.05 eV
* molar mass: 980.27 g mol⁻¹
* charge: +1
* energy relative to the best compared isomer or geometry (same formula, charge and spin): 0.00 kJ/mol

Each line ends with the Löwdin charge.
Cartesian coordinates (Å):
Bi: -1.16 -1.40 0.93  1.610
Cl: -2.04 2.18 -7.19  0.744
Cl: 0.45 5.53 -1.73  0.692
Cl: -6.24 2.68 -3.89  0.702
S: 2.52 4.42 0.10  1.031
Si: 1.57 -1.16 1.34  0.611
O: -1.87 -2.35 5.15  0.132
O: -2.11 0.35 4.82  0.126
O: 0.35 2.73 -3.47  -0.162
N: -1.79 0.86 1.35  -0.096
N: -0.79 -0.75 -1.81  -0.061
N: -1.52 -3.68 1.92  -0.084
N: -0.37 -0.03 -3.85  -0.041
N: -1.69 -1.20 3.13  -0.070
C: -2.55 -5.93 3.13  -0.018
C: 3.28 2.75 -1.66  -0.138
C: -2.55 3.00 0.66  -0.027
C: -1.90 -3.65 3.20  -0.219
C: 1.81 0.47 3.71  -0.070
C: 0.13 0.84 -4.92  -0.050
C: 2.22 -2.79 2.11  -0.647
C: 3.74 -2.75 2.30  -0.090
C: 1.73 4.43 -1.41  -0.959
C: -2.91 3.30 1.97  -0.009
C: -1.67 -4.82 1.23  -0.139
C: -2.41 -4.76 3.85  0.029
C: -4.02 2.44 -5.39  -0.117
C: 2.29 -1.10 -0.40  -0.209
C: -2.15 1.13 2.61  -0.199
C: -2.18 -5.97 1.80  -0.030
C: -2.64 2.37 -5.57  -0.571
C: 3.55 3.15 -0.39  -0.415
C: 1.47 1.68 1.54  -0.126
C: -1.97 0.05 3.66  -0.454
C: 2.22 3.50 -2.27  -0.316
C: 1.67 3.25 -3.63  -0.148
C: 3.64 0.63 1.99  -0.091
C: 1.58 -3.13 3.46  -0.076
C: -1.76 2.45 -4.49  -0.172
C: -1.23 -1.09 -3.98  -0.037
C: -0.13 0.13 -2.53  -0.175
C: -3.68 2.71 -3.03  -0.087
C: 2.12 0.46 2.20  -0.628
C: -2.31 2.64 -3.22  -0.014
C: 1.90 -3.92 1.11  -0.101
C: -2.00 1.77 0.39  -0.119
C: -1.80 -2.33 3.95  -0.453
C: -0.27 2.30 -4.66  -0.294
C: -4.53 2.60 -4.12  -0.660
C: -1.48 -1.53 -2.72  -0.147
C: -2.70 2.35 2.96  0.034
H: 2.42 -0.26 4.25  0.076
H: -2.96 2.51 4.00  0.132
H: 2.31 2.53 -4.15  0.128
H: -2.95 -6.82 3.61  0.122
H: -3.34 4.26 2.22  0.124
H: -2.28 -6.87 1.21  0.117
H: 0.06 2.89 -5.52  0.145
H: 1.21 0.75 -4.98  0.132
H: 4.08 -3.75 2.58  0.093
H: 4.23 -0.16 2.46  0.062
H: 1.93 -4.10 3.81  0.099
H: 3.94 1.58 2.45  0.095
H: 4.28 -2.46 1.39  0.079
H: 0.50 0.92 -2.14  0.130
H: -1.34 -4.80 0.19  0.117
H: 2.32 -3.73 0.12  0.075
H: -1.69 1.49 -0.61  0.088
H: 3.91 0.66 0.93  0.066
H: 0.40 1.72 1.73  0.052
H: 1.83 -2.39 4.23  0.078
H: 3.83 1.97 -2.17  0.121
H: 2.33 -4.86 1.48  0.095
H: 0.82 -4.08 1.00  0.038
H: -2.69 3.72 -0.13  0.110
H: 1.63 4.16 -4.23  0.138
H: -4.10 2.85 -2.04  0.099
H: 2.04 1.46 4.12  0.095
H: -2.68 -4.67 4.89  0.131
H: 1.91 2.59 1.96  0.059
H: 1.75 -1.74 -1.09  0.022
H: -4.68 2.38 -6.25  0.112
H: -1.58 -1.43 -4.95  0.128
H: 3.33 -1.43 -0.37  0.042
H: 2.27 -0.08 -0.80  0.010
H: 4.03 -2.07 3.11  0.071
H: 4.30 2.76 0.29  0.071
H: 1.63 1.71 0.45  0.052
H: 0.76 0.25 3.93  0.069
H: 0.49 -3.18 3.41  0.040
H: -0.30 0.50 -5.86  0.108
H: -2.14 -2.34 -2.40  0.095
H: -1.63 2.76 -2.39  0.096
-- stop --
Now let's look at the situation: Mark obviously had feelings for Jen, or he never would have planned the surprise party in the first place. But his feelings were hurt. He was hurt. However, Jen had given him time to work through it.
She also told him she was especially humiliated because of the nice surprise party he was planning for her. She expressed the reasons why she appreciated their relationship, the things they have in common, and the gratitude she felt for the good times they have had together.
And, according to Jen, that was not an easy thing to do. And it won't be easy for you to do, either. But it's necessary if you want to win your love back.